Given.
Entry 1:
The following is a calculated X-ray powder pattern of Rb2TeW3O12. It was derived from a PBE+U-relaxed structure, using Cu Kα X-rays.
No peak broadening, texture or thermal motion is included.

Structure:
abc: 7.4072 7.4072 12.4951
angles: 90.00 90.00 120.00
Space group P31c (No. 159)
Unique sites:
Rb: 0.3333 0.6667 0.0000 (multiplicity 2)
Rb: 0.3333 0.6667 0.3784 (multiplicity 2)
Te: 0.0000 0.0000 0.4366 (multiplicity 2)
W: 0.1458 0.3383 0.6746 (multiplicity 6)
O: 0.0883 0.5484 0.6376 (multiplicity 6)
O: 0.1204 0.8733 0.1840 (multiplicity 6)
O: 0.1299 0.8662 0.5084 (multiplicity 6)
O: 0.1921 0.3885 0.8135 (multiplicity 6)

Peak list (10 most intense, 10° ≤ 2θ ≤ 90°, sorted by position)
2θ 14.18, intensity 43
2θ 15.53, intensity 28
2θ 25.50, intensity 37
2θ 28.01, intensity 80
2θ 28.58, intensity 29
2θ 28.74, intensity 100
2θ 31.35, intensity 26
2θ 46.04, intensity 32
2θ 49.20, intensity 32
2θ 57.93, intensity 32

Entry 2:
The following is a calculated X-ray powder pattern of MnGaFeO4. It was derived from a PBE+U-relaxed structure, using Cu Kα X-rays.
No peak broadening, texture or thermal motion is included.

Structure:
abc: 6.102 6.122 8.661
angles: 90.00 90.00 90.00
Space group Imma (No. 74)
Unique sites:
Mn: 0.000 0.250 0.126 (multiplicity 4)
Ga: 0.250 0.250 0.750 (multiplicity 4)
Fe: 0.000 0.000 0.500 (multiplicity 4)
O: 0.000 0.030 0.738 (multiplicity 8)
O: 0.224 0.250 0.516 (multiplicity 8)

Peak list (10 most intense, 10° ≤ 2θ ≤ 90°, sorted by position)
2θ 17.75, intensity 22
2θ 29.20, intensity 26
2θ 34.39, intensity 100
2θ 35.97, intensity 13
2θ 41.77, intensity 25
2θ 55.14, intensity 27
2θ 55.25, intensity 12
2θ 60.53, intensity 39
2θ 60.71, intensity 8
2θ 86.32, intensity 9

Entry 3:
The following is a calculated X-ray powder pattern of Li2VF6. It was derived from a PBE+U-relaxed structure, using Cu Kα X-rays.
No peak broadening, texture or thermal motion is included.

Structure:
abc: 15.210 8.709 4.530
angles: 90.00 90.38 90.00
Space group C2 (No. 5)
Unique sites:
Li: 0.000 0.000 0.000 (multiplicity 2)
Li: 0.000 0.310 0.000 (multiplicity 2)
Li: 0.172 0.485 0.002 (multiplicity 4)
Li: 0.172 0.825 0.002 (multiplicity 4)
V: 0.000 0.656 0.000 (multiplicity 2)
V: 0.167 0.155 0.497 (multiplicity 4)
F: 0.053 0.495 0.214 (multiplicity 4)
F: 0.053 0.815 0.214 (multiplicity 4)
F: 0.063 0.155 0.249 (multiplicity 4)
F: 0.106 0.655 0.788 (multiplicity 4)
F: 0.116 0.005 0.736 (multiplicity 4)
F: 0.116 0.305 0.736 (multiplicity 4)
F: 0.218 0.003 0.254 (multiplicity 4)
F: 0.218 0.307 0.254 (multiplicity 4)
F: 0.231 0.655 0.259 (multiplicity 4)

Peak list (10 most intense, 10° ≤ 2θ ≤ 90°, sorted by position)
2θ 20.27, intensity 100
2θ 20.40, intensity 52
2θ 22.83, intensity 57
2θ 22.92, intensity 57
2θ 40.67, intensity 19
2θ 40.93, intensity 81
2θ 41.05, intensity 36
2θ 54.38, intensity 20
2θ 54.56, intensity 37
2θ 63.72, intensity 28
Brief.
It remains to count the lines further up that contain the word "calculated" and give the number alone.
Result.
3